"How are you? Have you rest well enough?" He asked her... Dae tried not to wipe her lips with her hand.

**Unrelated to this text: materials data:**
........
The following is a calculated X-ray diffraction stick pattern of TeAsPb. It was derived from DFT lattice parameters and positions (GGA-PBE), using Cu Kα, 1.54184 Å.
Lines closer than 0.1° are merged.

Lattice parameters (Å, degrees): 5.813 5.813 4.357 98.51 98.51 37.45
Atoms (fractional coordinates):
Te  0.000  0.000  0.000
As  0.317  0.317  0.074
Pb  0.695  0.695  0.540

Peak list (10 most intense, 10 to 90 degrees two-theta, by angle)
- 2θ 16.3, I = 24
- 2θ 24.3, I = 56
- 2θ 28.4, I = 62
- 2θ 32.0, I = 100
- 2θ 33.6, I = 52
- 2θ 34.5, I = 100
- 2θ 36.2, I = 31
- 2θ 42.0, I = 42
- 2θ 50.3, I = 27
- 2θ 52.0, I = 28

----------

Diffraction record for Fe4C. The X-ray diffraction stick pattern is theoretical, not measured: it uses a cell relaxed with PBE and CuKα.

Structural model:
```
data_Fe4C
_chemical_formula_sum 'Fe8 C2'
_space_group_name_H-M_alt 'P 1 21/m 1'
_space_group_IT_number 11
_space_group_name_Hall '-P 2yb'
_cell_length_a 5.9934
_cell_length_b 2.6683
_cell_length_c 6.2967
_cell_angle_alpha 90.00
_cell_angle_beta 100.98
_cell_angle_gamma 90.00
loop_
_atom_site_label
_atom_site_type_symbol
_atom_site_fract_x
_atom_site_fract_y
_atom_site_fract_z
Fe1 Fe 0.0210 0.2500 0.1827
Fe2 Fe 0.1824 0.2500 0.5631
Fe3 Fe 0.3266 0.2500 0.9654
Fe4 Fe 0.3960 0.7500 0.3200
C1 C 0.3753 0.7500 0.7456
```

Principal peaks in the range 10 to 90 degrees two-theta, most intense first:
h k l, 2theta, I (rel.)
2 0 2, 46.4, 100
1 0 -3, 43.7, 57
3 0 -1, 45.8, 39
1 1 2, 49.5, 36
1 1 1, 41.0, 33
0 1 2, 44.9, 25
1 1 0, 37.0, 20
2 1 -2, 51.6, 17

----------

1.
Structure and computed PXRD pattern of Tb6Sm (a crystal structure in Alexandria, relaxed with GGA-PBE; Cu Kα X-rays).
Lines closer than 0.1° are merged.

Most intense lines, 2θ from 10° to 90°, in order of falling intensity:
28.5°, intensity 100, (2 0 1); 34.8°, intensity 82, (2 1 2); 31.1°, intensity 79, (1 1 3); 31.7°, intensity 62, (2 1 1); 55.6°, intensity 54, (3 1 4); 65.8°, intensity 46, (3 3 3); 32.4°, intensity 31, (0 0 4); 39.1°, intensity 27, (2 2 0); 36.8°, intensity 26, (2 0 3); 60.9°, intensity 25, (4 1 2); 51.9°, intensity 23, (2 1 5); 43.9°, intensity 23, (3 1 0)

Structural model:
```
data_Tb6Sm
_chemical_formula_sum 'Tb12 Sm2'
_cell_length_a 6.5226
_cell_length_b 6.5226
_cell_length_c 11.0377
_cell_angle_alpha 90.00
_cell_angle_beta 90.00
_cell_angle_gamma 90.00
_space_group_name_H-M_alt 'P 4/n b m'
_space_group_IT_number 125
loop_
_space_group_symop_operation_xyz
'x,y,z'
'-x,-y,-z'
'-y+1/2,x,z'
'y+1/2,-x,-z'
'-x+1/2,-y+1/2,z'
'x+1/2,y+1/2,-z'
'y,-x+1/2,z'
'-y,x+1/2,-z'
'x,-y+1/2,-z'
'-x,y+1/2,z'
'-y+1/2,-x+1/2,-z'
'y+1/2,x+1/2,z'
'-x+1/2,y,-z'
'x+1/2,-y,z'
'y,x,-z'
'-y,-x,z'
loop_
_atom_site_label
_atom_site_fract_x
_atom_site_fract_y
_atom_site_fract_z
_atom_site_occupancy
Tb1 0.0821 0.5821 0.1376 1
Tb2 0.2500 0.2500 0.3601 1
Sm1 0.2500 0.7500 0.5000 1
```

---

2.
Structure and computed PXRD pattern of Co5CuGe3 (a crystal structure in Alexandria, relaxed with GGA-PBE; Cu Kα X-rays).
........

"Yes I did your grace. I just came by to say hello... She looks behind her to see her father and the princess standing by the opened door. It looks like they didn't close it... The princess was giving her look... A look she could not decipher, but it was the look of her father the frightened her more. She looks back at the king.

" Would you... Require me tonight.... at your bed?" The king smiles at her questions, but she prayed to whoever Gods is there that is listening for the king not to require her for tonight.

Between two parts of the piece: materials data >
'''
Structure and theoretical powder diffractogram of AcMn4Cu3O12 (a crystal structure in Alexandria, relaxed with GGA+U; Cu Kα).

Structure:
```
AcMn4Cu3O12
1.0
-3.7680 3.7680 3.7680
3.7680 -3.7680 3.7680
3.7680 3.7680 -3.7680
Ac Mn Cu O
1 4 3 12
direct
0.0000 0.0000 0.0000
0.0000 0.0000 0.5000
0.0000 0.5000 0.0000
0.5000 0.0000 0.0000
0.5000 0.5000 0.5000
0.0000 0.5000 0.5000
0.5000 0.0000 0.5000
0.5000 0.5000 0.0000
0.1406 0.8282 0.3124
0.1718 0.3124 0.4841
0.1718 0.6876 0.8594
0.3124 0.1406 0.8282
0.3124 0.4841 0.1718
0.4841 0.1718 0.3124
0.5159 0.8282 0.6876
0.6876 0.5159 0.8282
0.6876 0.8594 0.1718
0.8282 0.3124 0.1406
0.8282 0.6876 0.5159
0.8594 0.1718 0.6876
```

Top 10 peaks for 2θ from 10° to 90°, sorted by position:
16.64°, intensity 31
23.61°, intensity 11
29.02°, intensity 14
33.64°, intensity 100
37.75°, intensity 16
45.01°, intensity 18
48.31°, intensity 24
60.15°, intensity 47
70.72°, intensity 12
80.63°, intensity 17

* * * * *

HoTl: calculated X-ray diffraction stick pattern (a wavelength of 1.5418 Å), based on a DFT-relaxed cell (PBE, the Materials Project).
Neutral-atom scattering factors, no anomalous dispersion.

Principal peaks in the range 2θ from 10° to 80°, most intense first:
2theta, I_rel
33.4, 100
59.8, 38
48.0, 18
70.3, 12
23.5, 1
54.1, 1

Structure:
Cell lengths 3.7886, 3.7886, 3.7886 Å; angles 90.00, 90.00, 90.00 degrees
Element x y z (fractional)
Ho: 0.0000 0.0000 0.0000
Tl: 0.5000 0.5000 0.5000

* * * * *

Starting from DFT lattice parameters and positions (PBE), the powder diffraction line list of Ag4AuSe2 was calculated for Cu Kα X-rays.
Kinematic intensities with the Lorentz-polarization factor, no thermal factor.

Crystal structure
abc: 6.862 7.214 7.429
angles: 111.83 110.01 104.22
Element x y z (fractional)
Ag 0.000 0.000 0.000
Ag 0.037 0.310 0.409
Ag 0.192 0.150 0.740
Ag 0.319 0.777 0.994
Ag 0.381 0.782 0.607
Ag 0.497 0.268 0.326
Ag 0.641 0.541 0.127
Ag 0.867 0.368 0.736
Au 0.215 0.453 0.142
Au 0.940 0.679 0.593
Se 0.078 0.768 0.226
Se 0.471 0.447 0.694
Se 0.644 0.120 0.040
Se 0.720 0.910 0.508

Largest 8 diffraction maxima, in order of falling intensity, 2θ from 10° to 90°:
| two_theta | I (rel.) |
| --- | --- |
| 39.42 | 100 |
| 40.58 | 57 |
| 34.90 | 53 |
| 33.39 | 45 |
| 35.61 | 40 |
| 15.20 | 37 |
| 40.33 | 37 |
| 36.29 | 37 |


Starting from DFT lattice parameters and positions (PBE), the powder diffraction line list of Ag8AuSe6 was calculated for Cu Kα X-rays.
Kinematic intensities with the Lorentz-polarization factor, no thermal factor.

Crystal structure
abc: 8.299 8.299 8.299
angles: 53.12 53.12 53.12
Element x y z (fractional)
Ag 0.091 0.091 0.091
Ag 0.130 0.621 0.321
Ag 0.321 0.130 0.621
Ag 0.379 0.679 0.870
Ag 0.621 0.321 0.130
Ag 0.679 0.870 0.379
Ag 0.870 0.379 0.679
Ag 0.909 0.909 0.909
Au 0.500 0.500 0.500
Se 0.102 0.458 0.743
Se 0.257 0.898 0.542
Se 0.458 0.743 0.102
Se 0.542 0.257 0.898
Se 0.743 0.102 0.458
Se 0.898 0.542 0.257
'''

" As much as I want my dear... There is a tradition that I must spent the next night with the queen." Dae was relieved... She's so relieved that she could cry at that moment.

"It's ok..." She looks behind her again to see if her father was still listening. He was still their... But the princess was gone, was she mad?

"Anyway, If you would please excuse me... I would like to catch up with my father and my brothers." The king did not hesitate to let her go, once outside her father offered his arm for her to take and together they walked to where his assigned room is... She ordered Neviska to wait for her outside his room while they talk inside. Once the door of their room was closed, her father had let go of his false bravado.

"You did well." Her father spoke as he walks towards the window. Her brother sat by the sofa and picked out his cigar.

"I thought you wouldn't do it... Knowing your frightful attitude I thought you would have made a fuss." Dae remained standing, he wasn't done yet... She knows that he isn't satisfied yet, he was pleased yes... But not satisfied.

"But tell me daughter of mine... Why are his concubines still walking and complete?" She swallowed, remembering the Vial her father had given her.

"I... I still couldn't find a chance to do it father, I wasn't still allowed inside the harem." She explained to him, not meeting his eyes.

"You would do it right?" He asked as he towers above her. Dae nods her head.

"Good, then... I am expecting a spectacle by the end of the month." That fast? Dae doesn't know if she could do it that fast, but knowing her father, if she said she can't do it... He would end up beating her within inch of her life. So instead she nods.

"Very well... Let us continue this conversation tomorrow." He stated dismissing her, Dae said her goodnight, but before leaving she cast Marcus one last glance, he was still staring at her like she was something... Interesting, it was like a predator making eye contact with a prey... But Dae didn't dwell into to much thought regarding him... All she knows is she has to leave. Once outside the room Neviska quickly approached her.

"My lady... The princess requested you go to her room this instant... She told me to tell you she won't be taking no for an answer." Of course... She almost forgot about the princess.

She knocks twice before opening the door of the princess room... She was standing by the window, the room was dimly lit, the only source of light was the hearth. And the room of the princess smells different, a kind scent that is sweet and warm.

"How are you lady Dae?" The princess asked, before pulling the curtain close... She swallowed, why does it felt so hot in the room? Was it because of the windows being closed?

"I'm fine your highness." She answered without meeting her eyes, she felt ashamed, after all the princess was their to witness as she and the king consummated their wedding. And she was their to seek how she Chickened out of it. How she begged for her to help her... She must have looked so stupid.

The Concubine (Final Version)Where stories live. Discover now